William Micklem: Carl Hester Training With the USA Cavalry

Carl Hester and Nip Tuck. Photo courtesy of FEI / Jon Stroud.

(Misplaced records of crystals)
Record 1
Tb2Nd4DyTm2, relaxed, DFT PBE; ρ = 7.83 g cm⁻³; E_form = 0.022 eV per atom; space-group type = C2/m (12); magnetic moment = 0.00 μB per formula unit
1.0
7.643 -2.543 0.000
7.643 2.543 0.000
-2.542 0.000 7.612
Tb Nd Dy Tm
2 4 1 2
direct
0.111 0.111 0.170
0.889 0.889 0.830
0.223 0.223 0.831
0.446 0.446 0.170
0.554 0.554 0.830
0.777 0.777 0.169
0.000 0.000 0.500
0.333 0.333 0.500
0.667 0.667 0.500

Record 2
TbNdDy2Tm2, relaxed, DFT PBE; ρ = 8.22 g cm⁻³; E_form = 0.168 eV per atom; space-group type = Pnnm (58); magnetic moment = 0.00 μB per formula unit
1.0
6.937 0.000 0.000
0.000 16.016 0.000
0.000 0.000 3.515
Tb Nd Dy Tm
2 2 4 4
direct
0.000 0.000 0.000
0.500 0.500 0.500
0.000 0.500 0.500
0.500 0.000 0.000
0.249 0.159 0.500
0.251 0.659 0.000
0.749 0.341 0.000
0.751 0.841 0.500
0.250 0.345 0.000
0.250 0.845 0.500
0.750 0.155 0.500
0.750 0.655 0.000

Record 3
TbNd2Dy2Tm, relaxed, DFT PBE; ρ = 8.05 g cm⁻³; E_form = 0.064 eV per atom; space-group type = Pmma (51); magnetic moment = 0.00 μB per formula unit
1.0
7.015 0.000 0.000
0.000 5.652 0.000
0.000 0.000 9.793
Tb Nd Dy Tm
2 4 4 2
direct
0.250 0.000 0.157
0.750 0.000 0.843
0.000 0.000 0.500
0.250 0.500 0.679
0.500 0.000 0.500
0.750 0.500 0.321
0.250 0.000 0.831
0.250 0.500 0.337
0.750 0.000 0.169
0.750 0.500 0.663
0.000 0.500 0.000
0.500 0.500 0.000

Record 4
Tb2Nd3Dy6Tm, relaxed, DFT PBE; ρ = 8.12 g cm⁻³; E_form = 0.017 eV per atom; space-group type = C2/m (12); magnetic moment = 0.00 μB per formula unit
1.0
3.098 -5.364 0.000
3.098 5.364 0.000
-2.059 0.000 11.650
Tb Nd Dy Tm
2 3 6 1
direct
0.167 0.833 0.000
0.833 0.167 0.000
0.000 0.000 0.500
0.333 0.667 0.500
0.667 0.333 0.500
0.085 0.418 0.754
0.249 0.249 0.246
0.418 0.085 0.754
0.582 0.915 0.246
0.751 0.751 0.754
0.915 0.582 0.246
0.500 0.500 0.000

Record 5
Tb2Nd4DyTm, relaxed, DFT PBE; ρ = 7.67 g cm⁻³; E_form = 0.014 eV per atom; space-group type = Pmmm (47); magnetic moment = 0.00 μB per formula unit
1.0
5.119 0.000 0.000
0.000 5.148 0.000
0.000 0.000 10.078
Tb Nd Dy Tm
2 4 1 1
direct
0.000 0.000 0.000
0.500 0.500 0.500
0.000 0.500 0.249
0.000 0.500 0.751
0.500 0.000 0.249
0.500 0.000 0.751
0.000 0.000 0.500
0.500 0.500 0.000

Record 6
TbNd4Dy2Tm2, relaxed, DFT PBE; ρ = 7.86 g cm⁻³; E_form = 0.022 eV per atom; space-group type = C2/m (12); magnetic moment = 0.00 μB per formula unit
1.0
7.637 -2.539 0.000
7.637 2.539 0.000
-2.534 0.000 7.618
Tb Nd Dy Tm
1 4 2 2
direct
0.000 0.000 0.000
0.223 0.223 0.331
0.446 0.446 0.670
0.554 0.554 0.330
0.777 0.777 0.669
0.111 0.111 0.670
0.889 0.889 0.330
0.332 0.332 0.000
0.668 0.668 0.000

Record 7
Tb6Nd3DyTm2, relaxed, DFT PBE; ρ = 8.07 g cm⁻³; E_form = 0.019 eV per atom; space-group type = C2/m (12); magnetic moment = 0.00 μB per formula unit
1.0
3.100 -5.367 0.000
3.100 5.367 0.000
-2.061 0.000 11.667
Tb Nd Dy Tm
6 3 1 2
direct
0.084 0.418 0.755
0.248 0.248 0.245
0.418 0.084 0.755
0.582 0.916 0.245
0.752 0.752 0.755
0.916 0.582 0.245
0.000 0.000 0.500
0.333 0.667 0.500
0.667 0.333 0.500

Equestrian coaches and horses round the world have much for which to thank Carl Hester. All coaches need verification of their methods to sell their training ideas, and what easier sell is there than to say ‘this is how the gold medalists do it.’ Charlotte Dujardin with Valegro have been the leading combination in the dressage world for two Olympic cycles, and without doubt it is the brilliance of Carl Hester’s training leadership that took the British team to a gold medal in London and silver medal in Rio, and has broken new ground by turning a British rider into the highest scoring rider of all time.

But there’s more: His more horse friendly, more humane, more natural, more classical approach to dressage makes dressage more appealing to tens of thousands of potential new participants and supporters, and over the coming years tens of thousands of horses will be happier as a result.

Later this year Carl and Charlotte will be presented with the Médaille de l’École d’Èquitation Espagnole de Vienne, an honour awarded for riding according to the principles of classical horsemanship. Carl and Charlotte will receive the award during the Fete Imperiale, the summer ball of the Spanish Riding School in Vienna.

Top 10 Training Secrets of Carl Hester

So how does he do it? Here are the 10 key points he uses to explain his approach. It is important that you read through all 10 points and the all-important final conclusion to fully understand his strategy and magical effect.

1. Be systematic. Before beginning work, fix in the mind a definite program of exercises for the day. Be sure that the exercises for the day are in proper relations to the work of previous days.

2. Be patient. Do not destroy the tranquility of horses by demanding a performance that is too difficult, or by demanding it too early in training.

3. Be tactful and resourceful. Take advantage of the most favorable conditions for teaching a horse a new lesson. Never try to train a fresh horse. Undertake nothing new when the horse is excited or frightened. Do not try train the horse when his attention is distracted. Do not give a new lesson to a resisting horse. Do not send the horse to the stable in the midst of resistances or with a lesson incomplete. Finish the lesson first and then send the horse away calm and tractable.

4. Be moderate. Begin with the simplest movements and exercises. These understood, proceed to the next, less simple. In the early training introduce nothing complex or difficult. Use continuously the same means to bring about the same results, thus aiding the horse’s memory. Ask little but ask it it often; it is by repetition that a horse progresses. Nevertheless, do not let a horse continuously execute a movement incorrectly or in a dull, lifeless manner. Demand attention, correctness and a carriage and action gradually increasing in style and manner, then allow a few moments of complete relaxation. Never strain the attention or tax the strength of the horse. Require no position, attitude or movement which in itself causes the horse apprehension, discomfort or pain.

5. Be observant. Do not attribute every resistance of failure of the horse to inattention or stubbornness. These are often due to ill fitting bits or saddlery, to a poor rider, to lack of condition or approaching unsoundness, to noises, unaccustomed surroundings, or even to the weather.

6. Be exacting. Do not be content with the simple tracing of the riding-hall exercises and figures. Every such exercise or riding-hall figure has for its object to teach the horse the aids and to know how to handle himself in doing so. Accordingly, before taking the first step of a movement, the horse should be placed in a position which favors the simple and natural execution of the movement. The movement will then be executed more easily and correctly.

7. Be logical. Do not confuse the means by which an end is obtained with the end itself. Practically all of the exercises and riding-hall figures are the means for which the horse is rendered easy to manage during ordinary riding. Accordingly do not use riding-hall exercises as a proof of training or routine drill movements as a means of training. The first are the means by which the horse is trained. The second constitute the test and the proof of training.

8. Be liberal. Permit the riders to ride the greater part of the time at will, or, if on the track, without regard to the distances. They then have a greater opportunity to really control and to correct the attitudes, positions and movements of their horses. It also permits the horses to assume their individual natural gaits and avoids irritation by forcing them too soon to take regulation gaits.

9. Be tenacious. Never provoke a struggle which can properly be avoided.

10. Summation. In the horses’ training, great attention should be paid, first, to their conditioning; second, to their tranquility; third, to their training, properly speaking. ANY SYSTEM OF TRAINING THAT NEGLECTS THE CONDITIONING OR WHICH DESTROYS THE TRANQUILITY OF HORSES, IS DEFECTIVE.

Final conclusion – the truth

Those of you who read my last article may well be smelling a rat at this stage. I lied to you! These 10 points come not from Carl Hester in 2017 but from the U.S. Cavalry Manual of Horsemanship in 1936! They come from the beginning of Part II, Education of the Horse … and bear in mind the manual is not talking about training dressage horses but training remounts to serve in the USA cavalry.

So who was fooled? Some of you I would guess. So why have I done this? It is not just because I admire both the work of Carl Hester and General Chamberlin, who largely wrote the Cavalry Manual. My point is that so much in the Cavalry Manual is forgotten or lost, and so much from other wise coaches is also lost, therefore coaches who study their subject have much to gain and then much to contribute to the training world…. and then we can avoid the need to keep totally reinventing the training bicycle. Improving definitely, and always simplifying, but not reinventing. Yes there are some things I don’t agree with in the Cavalry Manual but there is much that is both good and mentally stimulating.

Of course we are lucky to be blessed with a huge amount of film of Carl and Charlotte, so there is a better record than with many master trainers from the past. Therefore there is every chance that Carl’s work and words will not be forgotten, but instead remembered and used to show the way to the next generation of riders who want to ride dressage in a kinder, better way….. a way that is undoubtedly safer for event riders who need a horse to have good instincts across country.